“It’s not a good idea.”

“So? Make a bad choice with me, then. I’ve seen you for years, shadow-girl, years of wanting you but not knowing exactly where you were. Let me have you finally.”

Years?The words crept past all that mindless, stupid lust.

“What do you mean you’ve seen me for years?” Was he some sort of weird supernatural stalker?

He inhaled slowly through his nose, then went unnaturally still. “Invite me in.”

I shook my head. “Not a chance. You realize watching a girl foryearsis creepy, right?”

_Crystal structures from another source follow_
/*
# Ba2NaNi3O6
Simulated PXRD pattern, CuKα. Input: a PBE+U-relaxed structure.
Intensities are scaled so that the largest is 100.

Peak list (12 most intense, 10 to 90 degrees two-theta, low angle first)
| d_spacing | I/Imax |
| --- | --- |
| 3.594 | 16.8 |
| 3.097 | 54.1 |
| 3.041 | 100.0 |
| 2.851 | 28.2 |
| 2.345 | 13.4 |
| 2.256 | 16.7 |
| 2.234 | 22.5 |
| 2.111 | 13.3 |
| 1.979 | 25.2 |
| 1.936 | 12.9 |
| 1.680 | 13.3 |
| 1.520 | 21.1 |

```
24
Lattice="0.0000 5.7026 7.3757 4.1159 0.0000 7.3757 4.1159 5.7026 0.0000" Properties=species:S:1:pos:R:3 pbc="T T T"
Ba 4.1159 2.6795 7.3757
Ba 2.0579 2.8513 3.6878
Ba 6.1738 8.5539 11.0635
Ba 4.1159 8.7256 7.3757
Na 4.1159 5.7026 4.9564
Na 4.1159 5.7026 9.7949
Ni 5.2915 5.7026 2.1403
Ni 2.9403 5.7026 2.1403
Ni 5.7662 5.7026 7.3757
Ni 2.4656 5.7026 7.3757
Ni 5.2915 5.7026 12.6111
Ni 2.9403 5.7026 12.6111
O 5.9047 4.4438 5.9834
O 4.1159 4.4288 2.8513
O 5.9047 4.4438 8.7680
O 5.9047 6.9614 5.9834
O 4.1159 6.9763 2.8513
O 5.9047 6.9614 8.7680
O 2.3271 4.4438 5.9834
O 4.1159 4.4288 11.9000
O 2.3271 4.4438 8.7680
O 2.3271 6.9614 5.9834
O 4.1159 6.9763 11.9000
O 2.3271 6.9614 8.7680
```


Record 1
Structure and calculated powder diffraction line list of Na2TiSi4O11 (a PBE-relaxed structure; CuKα).
No peak broadening, texture or thermal motion is included.

Most intense lines, 2θ = 10–90°, low angle first:
| Position (°2θ) | Rel. int. | (hkl) |
| --- | --- | --- |
| 16.25 | 100 | 2 0 0 |
| 22.53 | 81 | 0 0 2 |
| 23.07 | 40 | 2 2 0 |
| 25.83 | 77 | 1 3 0 |
| 27.00 | 94 | 3 0 1 |
| 27.91 | 40 | 2 0 2 |
| 34.54 | 67 | 3 1 2 |
| 34.90 | 56 | 3 3 0 |

Structure:
a = 10.9059 Å, b = 10.9059 Å, c = 7.8929 Å
α = 90.00°, β = 90.00°, γ = 90.00°
Space group I4/m (No. 87)
One atom of each set of equivalent atoms:
Na 0.1316 0.1815 0.0000 x8
Ti 0.0000 0.0000 0.2564 x4
Si 0.0099 0.6910 0.3076 x16
O 0.0000 0.0000 0.0000 x2
O 0.0000 0.0000 0.5000 x2
O 0.0449 0.3044 0.5000 x8
O 0.0458 0.8221 0.2308 x16
O 0.0995 0.3694 0.1896 x16

=====

Record 2
Structure and calculated powder diffraction line list of NaYbSiO4 (a PBE-relaxed structure; CuKα).
No peak broadening, texture or thermal motion is included.

Most intense lines, 2θ = 10–90°, low angle first:
| Position (°2θ) | Rel. int. | (hkl) |
| --- | --- | --- |
| 15.75 | 42 | 2 0 0 |
| 23.34 | 100 | 1 1 1 |
| 27.53 | 24 | 0 2 0 |
| 29.37 | 20 | 3 0 1 |
| 31.85 | 26 | 2 2 0 |
| 32.53 | 52 | 3 1 1 |
| 46.23 | 19 | 1 3 1 |
| 47.70 | 33 | 2 2 2 |

Structure:
a = 11.2560 Å, b = 6.4801 Å, c = 5.1911 Å
α = 90.00°, β = 90.00°, γ = 90.00°
Space group Pnma (No. 62)
One atom of each set of equivalent atoms:
Na 0.0000 0.0000 0.0000 x4
Yb 0.2209 0.2500 0.4991 x4
Si 0.0995 0.7500 0.4406 x4
O 0.0377 0.2500 0.6673 x4
O 0.1105 0.7500 0.7530 x4
O 0.1704 0.5525 0.3011 x8

=====

Record 3
Structure and calculated powder diffraction line list of Na2ZnSi3O8 (a PBE-relaxed structure; CuKα).
No peak broadening, texture or thermal motion is included.

Most intense lines, 2θ = 10–90°, low angle first:
*/

“Ava, you need to let me in, right now.” His face had shifted, changed to an expression of absolute seriousness.

However, given he’d just admitted to watching me for years, I wasn’t inclined to take his seriousness as something that mattered to me. Maybe his sudden emergency was nothing more than a pesky erection he felt needed immediate attention.

And while I would have been only too happy to attend to it prior, his own admission had dried up my lust like one of those towel infomercials.

I took a step away from the door. “You need to leave.”

Those flames in his eyes consumed the entire iris, and in that there was no question—he wasn’t anything close to human, and nothing I knew anything about either.

The wards gave me a comfort they hadn’t before. Beyond vampires and werewolves who lacked an understanding of boundaries, I was thankfulthathad to stay outside.

“You don’t understand,” he pressed and seemed to try to enter. The ward functioned not like a wall but more like drying cement—too thick and heavy to pass through. He couldn’t make progress, though the muscles I could see and the cords in his neck all stood out as though he gave it his best try.

~~~
Entry 1:
Structure and simulated X-ray powder pattern of La2GdSn5Pb2 (a cell relaxed with GGA-PBE; CuKα).

Structure:
```
10
Lattice="2.286 -13.154 0.000 2.286 13.154 0.000 0.000 0.000 4.764" Properties=species:S:1:pos:R:3 pbc="T T T"
La 2.286 8.272 0.000
La 2.286 -8.272 0.000
Gd 0.000 0.000 0.000
Sn 2.286 5.564 2.382
Sn 2.286 2.415 0.000
Sn 2.286 0.000 2.382
Sn 2.286 -2.415 0.000
Sn 2.286 -5.564 2.382
Pb 2.286 10.660 2.382
Pb 2.286 -10.660 2.382
```

Largest 6 diffraction maxima, by angle, 10° ≤ 2θ ≤ 90°:
2θ (°)  I/Imax
32.0  100
34.1  17
37.8  17
39.4  16
64.6  14
66.8  16

Entry 2:
Structure and simulated X-ray powder pattern of La2GdSn3Pb4 (a cell relaxed with GGA-PBE; CuKα).

Structure:
```
10
Lattice="2.360 -13.049 0.000 2.360 13.049 0.000 0.000 0.000 4.725" Properties=species:S:1:pos:R:3 pbc="T T T"
La 2.360 8.239 0.000
La 2.360 -8.239 0.000
Gd 0.000 0.000 0.000
Sn 2.360 10.633 2.363
Sn 2.360 0.000 2.363
Sn 2.360 -10.633 2.363
Pb 2.360 5.414 2.363
Pb 2.360 2.425 0.000
Pb 2.360 -2.425 0.000
Pb 2.360 -5.414 2.363
```

Largest 6 diffraction maxima, by angle, 10° ≤ 2θ ≤ 90°:
2θ (°)  I/Imax
31.8  100
34.4  16
38.1  33
52.2  20
55.0  12
65.0  27

~~~~~

# 1
The following is a theoretical powder X-ray diffraction pattern of NpNi6P4. It was derived from a crystal structure in Alexandria, relaxed with GGA-PBE, using λ = 1.5418 Å (Cu Kα).
Peak positions follow from Bragg's law for the DFT cell and can differ from measured ones.

Atomic structure:
Cell: 6.6446 6.6446 3.5915 Å, 90.00 90.00 120.00°
Fractional positions:
Np (0.0000, 0.0000, 0.0000)
Ni (0.2054, 0.4108, 0.5000)
Ni (0.2054, 0.7946, 0.5000)
Ni (0.5369, 0.0738, 0.0000)
Ni (0.5369, 0.4631, 0.0000)
Ni (0.5892, 0.7946, 0.5000)
Ni (0.9262, 0.4631, 0.0000)
P (0.3333, 0.6667, 0.0000)
P (0.3746, 0.1873, 0.5000)
P (0.8127, 0.1873, 0.5000)
P (0.8127, 0.6254, 0.5000)

Principal peaks in the range 2θ = 10–80°, in order of falling intensity:
index	2θ/deg	d_spacing	intensity
2 0 1	40.16	2.245	1000
1 1 1	36.85	2.439	407
2 1 0	41.52	2.175	401
1 0 0	15.40	5.754	329
1 0 1	29.31	3.047	314
2 0 0	31.08	2.877	241

# 2
The following is a theoretical powder X-ray diffraction pattern of Np2Ni12P7. It was derived from a crystal structure in Alexandria, relaxed with GGA-PBE, using λ = 1.5418 Å (Cu Kα).
Peak positions follow from Bragg's law for the DFT cell and can differ from measured ones.

Atomic structure:
Cell: 9.1068 9.1068 3.6780 Å, 90.00 90.00 120.00°
Fractional positions:
Np (0.3333, 0.6667, 0.2487)
Np (0.6667, 0.3333, 0.7513)
Ni (0.0526, 0.4323, 0.7502)
Ni (0.1117, 0.2554, 0.2443)
Ni (0.1438, 0.8883, 0.2443)
Ni (0.2554, 0.1438, 0.7557)
Ni (0.3796, 0.9474, 0.7502)
Ni (0.4323, 0.3796, 0.2498)
Ni (0.5677, 0.6204, 0.7502)
Ni (0.6204, 0.0526, 0.2498)
Ni (0.7446, 0.8562, 0.2443)
Ni (0.8562, 0.1117, 0.7557)
Ni (0.8883, 0.7446, 0.7557)
Ni (0.9474, 0.5677, 0.2498)
P (0.0000, 0.0000, 0.5000)
P (0.1146, 0.7070, 0.7503)
P (0.2930, 0.4076, 0.7503)
P (0.4076, 0.1146, 0.2497)
P (0.5924, 0.8854, 0.7503)
~~~

I could kiss Kase right now.

I shuddered. Nope. That wasfartoo much.

## What comes next are crystal structures, not part of the text
-- begin --
# Sb6Pb6S17
Theoretical X-ray diffraction stick pattern, Cu Kα, 1.54184 Å. Input: DFT lattice parameters and positions (GGA-PBE).

Main lines, by angle (2θ = 10–90°):
2θ/deg	I_rel	h k l
23.5	68	1 6 0
25.3	35	2 1 1
25.5	100	4 3 0
29.2	33	3 2 1
29.4	60	2 4 1
30.8	54	5 3 0
32.1	69	0 6 1
32.6	63	1 6 1
45.4	37	0 0 2
47.8	48	4 9 1

```
data_Sb6Pb6S17
_chemical_formula_sum 'Sb12 Pb12 S34'
_symmetry_space_group_name_H-M 'P 21 21 2'
_symmetry_Int_Tables_number 18
_cell_length_a 15.645
_cell_length_b 23.374
_cell_length_c 3.992
_cell_angle_alpha 90.00
_cell_angle_beta 90.00
_cell_angle_gamma 90.00
loop_
_symmetry_equiv_pos_as_xyz
'x,y,z'
'-x,-y,z'
'x+1/2,-y+1/2,-z'
'-x+1/2,y+1/2,-z'
loop_
_atom_site_label
_atom_site_fract_x
_atom_site_fract_y
_atom_site_fract_z
Sb1 0.058 0.242 0.488
Sb2 0.065 0.930 0.474
Sb3 0.176 0.102 0.501
Pb1 0.079 0.625 0.001
Pb2 0.179 0.796 0.996
Pb3 0.202 0.462 0.002
S1 0.000 0.500 0.777
S2 0.020 0.851 0.009
S3 0.045 0.431 0.497
S4 0.090 0.721 0.497
S5 0.099 0.308 0.003
S6 0.124 0.004 0.006
S7 0.186 0.553 0.495
S8 0.209 0.886 0.501
S9 0.226 0.165 0.004
```

* * * * *

Diffraction record for BaSr2I6. The powder diffraction line list is computed, not measured: it uses the PBE geometry in the Materials Project and copper Kα.
Intensities are scaled so that the largest is 100.

Principal peaks in the range 2θ from 10° to 90°, sorted by position:
23.5°, d 3.779, I 70
24.2°, d 3.681, I 41
24.3°, d 3.663, I 74
24.7°, d 3.611, I 25
26.1°, d 3.408, I 100
27.5°, d 3.242, I 55
28.5°, d 3.135, I 56
30.5°, d 2.934, I 29
30.9°, d 2.898, I 55
31.7°, d 2.823, I 66
32.5°, d 2.754, I 26
34.5°, d 2.600, I 45

Cell and atoms:
a b c (Å): 8.974 8.974 11.921
angles (deg): 92.92 92.92 119.30
Element x y z (fractional)
Ba 0.032 0.968 0.750
Ba 0.968 0.032 0.250
Sr 0.296 0.606 0.445
Sr 0.394 0.704 0.055
Sr 0.606 0.296 0.945
Sr 0.704 0.394 0.555
I 0.022 0.758 0.467
I 0.066 0.452 0.195
I 0.242 0.978 0.033
I 0.303 0.390 0.866
I 0.390 0.303 0.366
I 0.452 0.066 0.695
I 0.548 0.934 0.305
I 0.610 0.697 0.634
I 0.697 0.610 0.134
I 0.758 0.022 0.967
I 0.934 0.548 0.805
I 0.978 0.242 0.533
-- stop --

Still, I took another step away as he let out a roar I swore I’d heard in my nightmares before. It was dark and inhuman and chilled me.

I didn’t notice a sound behind me at first, nor did the way the hair on my neck stood occur to me. I was too taken by the sight of Hunter trying to get through the ward.

An electric sensation ran down my spine—one I knew far too well—and I turned.

Behind me stood Melinda, but she wasn’t on schedule. It was hours early for her to show, and she’d been unfailingly punctual.

“I don’t have time for this,” I told her.

She tilted her head as she floated forward, lowering herself until her feet touched the floor as though she were walking. It was eerie. Melinda hadneverbeen silent.

That was when I really saw it, though, the thing I’d missed because I’d been so focused on Hunter.

Melinda was untethered. That leash that had connected her before to her corpse, the one that had held her to this realm, was gone. Which could only mean one thing, something that terrified me far more than whatever it was trying to force his way through my wards.

Melinda was a poltergeist.

I opened my mouth to invite Hunter in, but before I could make a sound, Melinda rushed forward and wrapped a freezing, ethereal hand around my throat.

I never would have guessed it would beMelindawho ended up killing me.